The reader should give back the whole of the block below character by character.
-- begin --
Record 1
{
  "formula": "C2H4O3S",
  "method": "ωB97M-V/def2-TZVPD",
  "symbols": ["C", "C", "O", "O", "O", "S", "H", "H", "H", "H"],
  "xyz": [[-0.541, -0.667, 0.286], [0.187, 0.565, 0.066], [-0.381, -0.119, -1.027], [-1.826, -0.796, 0.733], [0.118, 1.835, 0.264], [2.529, -0.523, 0.161], [0.056, -1.611, 0.626], [-2.465, -0.084, 0.251], [0.293, 2.350, -0.475], [2.029, -0.950, -0.886]],
  "gap_ev": [8.22, 8.22],
  "e_homo_ev": [-8.619, -8.619],
  "relative_energy_kj_mol": 333.2
}


Record 2
{
  "formula": "C6H14ClO2PrRu",
  "method": "ωB97M-V/def2-TZVPD",
  "symbols": ["Pr", "Cl", "C", "C", "H", "H", "H", "H", "H", "H", "Ru", "C", "C", "H", "H", "H", "H", "H", "C", "C", "O", "O", "H", "H", "H"],
  "xyz": [[0.927, -1.412, -0.255], [-1.647, -1.494, 0.063], [2.465, -2.750, 1.124], [1.715, -2.309, -2.397], [3.206, -3.066, 0.366], [3.012, -2.406, 2.006], [1.880, -3.648, 1.380], [2.736, -2.686, -2.146], [1.795, -1.736, -3.331], [1.086, -3.214, -2.566], [-0.364, 1.107, 0.357], [0.072, 0.310, 2.171], [1.419, 1.031, -0.280], [1.117, -0.054, 2.277], [-0.224, 1.079, 2.892], [-0.645, -0.547, 2.280], [1.769, 1.588, -1.164], [2.245, 0.750, 0.428], [-3.772, 3.121, -0.647], [-2.572, 2.367, -0.181], [-2.382, 2.027, 1.042], [-1.679, 2.036, -1.054], [-3.434, 4.032, -1.133], [-4.438, 3.321, 0.187], [-4.288, 2.554, -1.419]],
  "total_charge": -1,
  "gap_ev": [4.47, 6.77],
  "multiplicity": 8,
  "s2": 15.764,
  "e_homo_ev": [-1.585, -4.753]
}


Record 3
{
  "formula": "C32H88Cu3N8O16S2",
  "method": "ωB97M-V/def2-TZVPD",
  "symbols": ["Cu", "Cu", "Cu", "S", "O", "O", "O", "O", "S", "O", "O", "O", "O", "C", "C", "C", "O", "C", "N", "H", "H", "H", "H", "H", "H", "H", "H", "H", "H", "H", "C", "C", "C", "O", "C", "N", "H", "H", "H", "H", "H", "H", "H", "H", "H", "H", "H", "C", "C", "C", "O", "C", "N", "H", "H", "H", "H", "H", "H", "H", "H", "H", "H", "H", "C", "C", "C", "O", "C", "N", "H", "H", "H", "H", "H", "H", "H", "H", "H", "H", "H", "C", "C", "C", "O", "C", "N", "H", "H", "H", "H", "H", "H", "H", "H", "H", "H", "H", "C", "C", "C", "O", "C", "N", "H", "H", "H", "H", "H", "H", "H", "H", "H", "H", "H", "C", "C", "C", "O", "C", "N", "H", "H", "H", "H", "H", "H", "H", "H", "H", "H", "H", "C", "C", "C", "O", "C", "N", "H", "H", "H", "H", "H", "H", "H", "H", "H", "H", "H"],
-- stop --
Record 1
{
  "formula": "C2H4O3S",
  "method": "ωB97M-V/def2-TZVPD",
  "symbols": ["C", "C", "O", "O", "O", "S", "H", "H", "H", "H"],
  "xyz": [[-0.541, -0.667, 0.286], [0.187, 0.565, 0.066], [-0.381, -0.119, -1.027], [-1.826, -0.796, 0.733], [0.118, 1.835, 0.264], [2.529, -0.523, 0.161], [0.056, -1.611, 0.626], [-2.465, -0.084, 0.251], [0.293, 2.350, -0.475], [2.029, -0.950, -0.886]],
  "gap_ev": [8.22, 8.22],
  "e_homo_ev": [-8.619, -8.619],
  "relative_energy_kj_mol": 333.2
}


Record 2
{
  "formula": "C6H14ClO2PrRu",
  "method": "ωB97M-V/def2-TZVPD",
  "symbols": ["Pr", "Cl", "C", "C", "H", "H", "H", "H", "H", "H", "Ru", "C", "C", "H", "H", "H", "H", "H", "C", "C", "O", "O", "H", "H", "H"],
  "xyz": [[0.927, -1.412, -0.255], [-1.647, -1.494, 0.063], [2.465, -2.750, 1.124], [1.715, -2.309, -2.397], [3.206, -3.066, 0.366], [3.012, -2.406, 2.006], [1.880, -3.648, 1.380], [2.736, -2.686, -2.146], [1.795, -1.736, -3.331], [1.086, -3.214, -2.566], [-0.364, 1.107, 0.357], [0.072, 0.310, 2.171], [1.419, 1.031, -0.280], [1.117, -0.054, 2.277], [-0.224, 1.079, 2.892], [-0.645, -0.547, 2.280], [1.769, 1.588, -1.164], [2.245, 0.750, 0.428], [-3.772, 3.121, -0.647], [-2.572, 2.367, -0.181], [-2.382, 2.027, 1.042], [-1.679, 2.036, -1.054], [-3.434, 4.032, -1.133], [-4.438, 3.321, 0.187], [-4.288, 2.554, -1.419]],
  "total_charge": -1,
  "gap_ev": [4.47, 6.77],
  "multiplicity": 8,
  "s2": 15.764,
  "e_homo_ev": [-1.585, -4.753]
}


Record 3
{
  "formula": "C32H88Cu3N8O16S2",
  "method": "ωB97M-V/def2-TZVPD",
  "symbols": ["Cu", "Cu", "Cu", "S", "O", "O", "O", "O", "S", "O", "O", "O", "O", "C", "C", "C", "O", "C", "N", "H", "H", "H", "H", "H", "H", "H", "H", "H", "H", "H", "C", "C", "C", "O", "C", "N", "H", "H", "H", "H", "H", "H", "H", "H", "H", "H", "H", "C", "C", "C", "O", "C", "N", "H", "H", "H", "H", "H", "H", "H", "H", "H", "H", "H", "C", "C", "C", "O", "C", "N", "H", "H", "H", "H", "H", "H", "H", "H", "H", "H", "H", "C", "C", "C", "O", "C", "N", "H", "H", "H", "H", "H", "H", "H", "H", "H", "H", "H", "C", "C", "C", "O", "C", "N", "H", "H", "H", "H", "H", "H", "H", "H", "H", "H", "H", "C", "C", "C", "O", "C", "N", "H", "H", "H", "H", "H", "H", "H", "H", "H", "H", "H", "C", "C", "C", "O", "C", "N", "H", "H", "H", "H", "H", "H", "H", "H", "H", "H", "H"],